Television looks at itself -- inconclusively

December 20, 1982

Two CBS News documentaries airing during Christmas week manage to take viewers on fascinating journeys to nowhere. Both delve into topics of great interest, tease us with tantalizing examples of controversial material, then disappointingly fall by the wayside when the time for a pungent conclusion arrives.

### The text is interrupted by calculated crystals
-- begin --
SrZrTl2F8: simulated X-ray diffraction stick pattern (Cu Ka), based on a cell relaxed with PBE.
Lines closer than 0.1° are merged.

Top 6 peaks for 10 to 90 degrees two-theta, by angle:
| (hkl) | two_theta | d_spacing | Rel. int. |
| --- | --- | --- | --- |
| 0 2 1 | 25.75 | 3.459 | 80 |
| 1 0 1 | 26.48 | 3.366 | 100 |
| 1 2 0 | 31.95 | 2.801 | 25 |
| 1 2 1 | 34.71 | 2.585 | 22 |
| 1 2 -2 | 41.99 | 2.152 | 61 |
| 1 4 1 | 52.91 | 1.730 | 30 |

Structure:
Unit cell a=3.892 b=8.070 c=6.720 alpha=90.00 beta=90.09 gamma=90.00
Space group P2/m (No. 10)
Asymmetric unit:
Sr 0.000 0.000 0.000 (multiplicity 1)
Zr 0.000 0.500 0.000 (multiplicity 1)
Tl 0.500 0.248 0.500 (multiplicity 2)
F 0.001 0.293 0.812 (multiplicity 4)
F 0.499 0.000 0.774 (multiplicity 2)
F 0.499 0.500 0.172 (multiplicity 2)

=====

SrTmF4: simulated X-ray diffraction stick pattern (Cu Ka), based on a cell relaxed with PBE.
Lines closer than 0.1° are merged.

Top 6 peaks for 10 to 90 degrees two-theta, by angle:
| (hkl) | two_theta | d_spacing | Rel. int. |
| --- | --- | --- | --- |
| 2 0 -2 | 23.44 | 3.795 | 97 |
| 0 2 0 | 23.98 | 3.711 | 100 |
| 1 1 1 | 28.75 | 3.105 | 93 |
| 3 1 -1 | 28.86 | 3.094 | 96 |
| 2 2 -2 | 33.78 | 2.653 | 48 |
| 1 3 1 | 45.27 | 2.003 | 73 |

Structure:
Unit cell a=10.740 b=7.422 c=7.590 alpha=90.00 beta=134.66 gamma=90.00
Space group Cm (No. 8)
Asymmetric unit:
Sr 0.000 0.000 0.000 (multiplicity 2)
Sr 0.241 0.500 0.273 (multiplicity 2)
Tm 0.007 0.500 0.542 (multiplicity 2)
Tm 0.225 0.000 0.771 (multiplicity 2)
F 0.032 0.205 0.484 (multiplicity 4)
F 0.212 0.500 0.559 (multiplicity 2)
F 0.229 0.500 0.937 (multiplicity 2)
F 0.273 0.000 0.479 (multiplicity 2)
F 0.307 0.000 0.143 (multiplicity 2)
F 0.453 0.180 0.994 (multiplicity 4)

* * * * *

1.
Diffraction record for Er6GaNi. The powder XRD pattern is computed, not measured: it uses DFT lattice parameters and positions (PBE) and a wavelength of 1.5418 Å.
Peak positions follow from Bragg's law for the DFT cell and can differ from measured ones.

Atomic structure:
Unit cell a=6.640 b=11.276 c=6.563 alpha=90.00 beta=113.38 gamma=90.00
Positions (direct):
Er (0.230, 0.190, 0.245)
Er (0.230, 0.810, 0.245)
Er (0.235, 0.000, 0.768)
Er (0.265, 0.500, 0.232)
Er (0.270, 0.310, 0.755)
Er (0.270, 0.690, 0.755)
Er (0.730, 0.310, 0.245)
Er (0.730, 0.690, 0.245)
Er (0.735, 0.500, 0.768)
Er (0.765, 0.000, 0.232)
Er (0.770, 0.190, 0.755)
Er (0.770, 0.810, 0.755)
Ga (0.000, 0.500, 0.500)
Ga (0.500, 0.000, 0.500)
Ni (0.000, 0.000, 0.000)
Ni (0.500, 0.500, 0.000)

Most intense lines, 15 to 90 degrees two-theta, sorted by position:
d/Å	I_rel	h k l
3.106	86	1 3 -1
3.047	46	2 0 0
3.012	46	0 0 2
2.819	14	0 4 0
2.758	61	2 0 -2
2.609	100	1 3 1
1.904	36	3 3 -1
1.887	37	1 3 -3
1.879	14	0 6 0
1.813	18	2 0 2


2.
Diffraction record for PmAl4Ni2. The powder XRD pattern is computed, not measured: it uses DFT lattice parameters and positions (PBE) and a wavelength of 1.5418 Å.
-- stop --
### The calculated crystals stop here

CBS Reports: Don't Touch That Dial (Thursday, Dec. 23, 10-11 p.m.) and a CBS News Special, Eye on the Media: Business and the Press (Saturday, Dec. 25, 10-11 p.m.), have both chosen to investigate matters of great interest and immediacy to most viewers.

Morley Safer, the solidly dependable ''60 Minutes'' standby, goes behind the screens of prime-time television. ''Don't Touch That Dial,'' produced and directed by Julian Krainin, uses as examples the development, network acceptances, and premieres of NBC's ''Family Ties'' and CBS's ''Seven Brides for Seven Brothers.'' Some poignant and some repugnant candid moments of compromise are recorded for posterity.

Mr. Safer asks the right questions of producers and network executives. He gets the standard answers, too - the network insists it interferes only as much as is necessary; the producers insist that networks demand changes that weaken the shows, then reject the shows because they are weak.

The major conclusion of this glossy documentary, which seems to emulate too much of the slick prime-time style it denigrates, is enunciated at the end by Mr. Safer. ''It is no easy thing to speak in any definitive way about this art or science or money machine that is network television. There are (fortunately) no rules about what television should be like. The people who run things are not paid to put quality, whatever that is, on the air; they are paid handsomely to put success on the air.''

So what else is new?

## Calculated crystals, as found in the file
~~~
[1]
For HfAgSe2O8, a DFT-relaxed cell (PBE, Alexandria) gives the computed PXRD pattern in this record (Cu Kα (λ = 1.5418 Å)).
Intensities are scaled so that the largest is 1000.

The 6 most intense peaks (5 to 70 degrees two-theta), in order of rising 2θ:
index, Position (°2θ), I_rel
1 0 0, 17.82, 840
0 1 1, 22.27, 828
1 1 0, 31.12, 988
1 0 2, 32.28, 1000
0 2 2, 45.45, 530
2 1 2, 56.10, 431

```
data_HfAgSe2O8
_chemical_formula_sum 'Hf1 Ag1 Se2 O8'
_cell_length_a 5.7480
_cell_length_b 5.7480
_cell_length_c 6.6802
_cell_angle_alpha 90.00
_cell_angle_beta 90.00
_cell_angle_gamma 120.00
_space_group_name_H-M_alt 'P -3'
_space_group_IT_number 147
loop_
_space_group_symop_operation_xyz
'x,y,z'
'-x,-y,-z'
'-y,x-y,z'
'y,-x+y,-z'
'-x+y,-x,z'
'x-y,x,-z'
loop_
_atom_site_label
_atom_site_type_symbol
_atom_site_fract_x
_atom_site_fract_y
_atom_site_fract_z
Hf1 Hf 0.0000 0.0000 0.0000
Ag1 Ag 0.0000 0.0000 0.5000
Se1 Se 0.3333 0.6667 0.2695
O1 O 0.1619 0.3274 0.1919
O2 O 0.3333 0.6667 0.5139
```

---

[2]
For Li3In3Hg8, a DFT-relaxed cell (PBE, Alexandria) gives the computed PXRD pattern in this record (Cu Kα (λ = 1.5418 Å)).
Intensities are scaled so that the largest is 1000.

The 6 most intense peaks (5 to 70 degrees two-theta), in order of rising 2θ:
index, Position (°2θ), I_rel
0 1 -1, 21.97, 669
0 2 2, 26.56, 700
-2 1 1, 32.61, 1000
2 2 2, 34.72, 594
1 1 3, 35.56, 599
1 -2 1, 37.14, 923

```
data_Li3In3Hg8
_chemical_formula_sum 'Li3 In3 Hg8'
_cell_length_a 6.635
_cell_length_b 7.927
_cell_length_c 7.939
_cell_angle_alpha 61.32
_cell_angle_beta 81.03
_cell_angle_gamma 81.08
_space_group_name_H-M_alt 'P -1'
_space_group_IT_number 2
loop_
_space_group_symop_operation_xyz
'x,y,z'
'-x,-y,-z'
loop_
_atom_site_label
_atom_site_type_symbol
_atom_site_fract_x
_atom_site_fract_y
_atom_site_fract_z
Li1 Li 0.000 0.000 0.000
Li2 Li 0.498 0.685 0.314
In1 In 0.000 0.500 0.500
In2 In 0.474 0.888 0.887
Hg1 Hg 0.133 0.915 0.360
Hg2 Hg 0.135 0.360 0.913
Hg3 Hg 0.316 0.512 0.146
Hg4 Hg 0.319 0.149 0.511
```

---

[3]
For SrLa2Tc, a DFT-relaxed cell (PBE, Alexandria) gives the computed PXRD pattern in this record (Cu Kα (λ = 1.5418 Å)).
Intensities are scaled so that the largest is 1000.

The 6 most intense peaks (5 to 70 degrees two-theta), in order of rising 2θ:
index, Position (°2θ), I_rel
0 0 2, 11.29, 724
0 1 3, 24.83, 686
1 1 2, 32.92, 1000
0 0 6, 34.31, 367
1 1 4, 38.61, 812
2 0 0, 50.92, 377

```
data_SrLa2Tc
_chemical_formula_sum 'Sr2 La4 Tc2'
_cell_length_a 3.590
_cell_length_b 4.927
_cell_length_c 15.680
_cell_angle_alpha 90.00
_cell_angle_beta 90.00
_cell_angle_gamma 90.00
_space_group_name_H-M_alt 'I m m 2'
_space_group_IT_number 44
loop_
_space_group_symop_operation_xyz
'x,y,z'
'-x,-y,z'
'-x,y,z'
'x,-y,z'
'x+1/2,y+1/2,z+1/2'
'-x+1/2,-y+1/2,z+1/2'
'-x+1/2,y+1/2,z+1/2'
'x+1/2,-y+1/2,z+1/2'
loop_
_atom_site_label
_atom_site_type_symbol
_atom_site_fract_x
_atom_site_fract_y
_atom_site_fract_z
Sr1 Sr 0.000 0.000 0.000
La1 La 0.000 0.000 0.324
~~~

''Eye on the Media: Business and the Press'' jumps right into the business-press fray, flailing in all directions, putting on a good show, but reaching no real decisions. It's a bit like a match between a boxer and a kangaroo, with each side taking turns being the kangaroo.

Edited down from a three-hour seminar sponsored by CBS News and Columbia University , this CBS News Special purports to investigate journalistic ethics - especially ''60 Minutes''-type ethics - in preparing stories that concern consumer products. Does the interviewer have the right to entrap the interviewee? Is it the network responsibility to present positive as well as negative facts about a product? How far should Mike Wallace or Dan Rather or even Geraldo Rivera (all of whom take part in the discussion) go to get their story?

All perform under the expert gadfly-like guidance of Harvard law professor Charles R. Nesson. Dan Rather, in particular, comes across as a clever down-home reporter, constantly gauging the probability of things by whether or not you believe that thunder curdles milk.

If there is anything like a conclusion amid all the marvelous professional repartee, it comes from Mr. Taylor of the Wall Street Journal, who concludes that the ''60-Minutes'' kind of confrontational reporting is ''marvelous drama and has very little to do with journalism a good share of the time. . . . I'm not saying they shouldn't be on television. What I'm saying is it's not journalism.''